
Chapter 123

The first monstrous creature that caught my eye while I was sprinting through the treacherous jungle terrain was a magnificent triceratops-like beast.

It appeared to be part of a herd, moving in synchronized harmony as they prowled the area. Acting swiftly, I conjured a fiery ball in my hands and launched it towards the creatures, diverting their attention away from me.

With a quick shift of focus, I employed my draconic wings, propelling myself into the air and seeking refuge amidst the towering trees.

My intention was precise - I aimed to lure the monsters towards my pursuers, hoping that they would become entangled in a frenzied battle.

Being in an unfamiliar dungeon floor, I hesitated to engage directly with my pursuers, uncertain of their true power.

The triceratops-like creatures seemingly disregarded my presence, fixating instead on the approaching group that had chased after me.

In my mind, I couldn't help but ponder their limited intellect as I observed my pursuers locked in combat with the monsters.

Carefully analyzing the situation, I noted that my pursuers numbered five, all appearing to be of level 3. This realization puzzled me – if they possessed such proficiency, why were they targeting a new adventurer like myself who had just reached level 3?.

They clearly demonstrated expertise in swiftly dispatching these strong creatures. It led me to question their motives.

Could it be that they found it easier to plunder loot from other adventurers rather than braving the depths of the dungeon themselves? These musings infiltrated my thoughts as I contemplated their true intentions.

Observing the dwindling battle and sensing that the confrontation was nearing its conclusion, I employed a wind-tracking spell to locate additional monsters in the vicinity.

With a sly smile, I gathered the attention of these creatures and skillfully maneuvered them towards the battleground where my pursuers were engaged.

After all, considering their inadequacy, I thought it prudent to utilize them as mere tools to help me gather valuable monster drops.

The monsters I summoned were fearsome, exhibiting immense strength and relentless ferocity as they relentlessly attacked my pursuers.

It seemed evident that my pursuers were on the brink of being overwhelmed, prompting them to make a tactical retreat.

I couldn't allow that. The prospect of them escaping and potentially targeting me in the future was unacceptable.

With a swift movement of my wings, I took flight from tree to tree, unleashing bolts of lightning after switching up my runes.

The electrifying energy had a paralyzing effect on my enemies, intensifying their final moments and ensuring a gruesome demise.

The raptor-like creatures tore into the flesh of my pursuers, while the triceratops monsters impaled them mercilessly upon their razor-sharp horns.

Patiently, I held my ground, allowing the monsters to feast upon their gruesome trophies and eradicate any evidence of the battle that had waged moments before.

Only then did I unleash the full force of my abilities upon the creatures, dispatching them with precision and care.

Cautiously assessing my surroundings, I ensured that no potential witnesses remained in the vicinity, particularly as I was still relatively close to the entrance of the 28th floor.

Satisfied that I was not being observed, I turned my attention towards the spoils of my victory. A sigh of relief escaped my lips as I surveyed the monster drops and collected the gear left behind by the adventurers who had so foolishly pursued me.

I cared naught about their identities or motivations. To me, they were simply opportunistic scavengers preying upon the weak, and that was all the knowledge I needed to justify my actions.

Now that I was free from the clutches of those deranged adventurers, I could finally explore the uncharted realm that awaited me in the 29th floor.

Known as the dense forest ravine, it was an area recommended for adventurers of level 3 and above.

A few hours later, I found myself delving deeper into the 29th floor, and I must say, it was nothing short of a grueling endeavor.

Every step I took seemed to invite a new assault from the creatures that inhabited this floor. These dinosaur-like beings possessed a large array of offensive and defensive capabilities, making them incredibly challenging to deal with.

Their tough hides proved to be hard for my claws, further complicating the already demanding task at hand. I was forced to use enhanced strike constantly to deal critical damage to these creatures.

Given their sheer size and weight, I had to remain in constant motion, evading direct hits that could drain my already dwindling stamina.

Additionally, the rate at which I was expending potions was alarming. It became apparent to me that the cost of potions and the number of monsters I had eliminated thus far would not yield any viable profit from farming here.

In light of this realization, I decided to alter my course of action and focus on farming excelia between the 25th and 27th floors instead.

These levels were comparatively more manageable for me to tackle solo, allowing me to gather decent quality excelia and monster drops while still generating a reasonable profit.

With my plan in place, I swiftly made my way back to the relative safety of the 28th floor. I had no intention of subjecting myself to another excruciating minute on the 29th floor.

Utilizing my ability to fly, I temporarily paralyzed the flying-type dinosaurs, making my escape slightly easier than dealing with the massive land-dwelling creatures.

Upon arriving at the entrance of the 28th floor, I wasted no time entering its confines, feeling both physically exhausted and famished.

-- Materials data from another source follow --
# 1
The following is a computed powder X-ray diffraction pattern of Mn3V3Ag2O12. It was derived from DFT lattice parameters and positions (PBE+U), using Cu Kα (weighted mean of Kα1 and Kα2).

Largest 12 diffraction maxima, sorted by position, 10 to 90 degrees two-theta:
2θ/deg, I (rel.), hkl
20.6, 25, 2 2 0
29.9, 60, 3 1 -2
31.0, 100, 2 4 0
31.9, 35, 4 0 0
32.3, 42, 1 1 2
32.8, 64, 1 3 -2
37.6, 14, 1 3 2
44.7, 22, 5 3 -2
48.0, 22, 3 3 2
53.0, 21, 2 0 -4
56.6, 15, 3 7 -2
61.4, 16, 4 4 -4

Structural model:
```
data_Mn3V3Ag2O12
_chemical_formula_sum 'Mn12 V12 Ag8 O48'
_symmetry_space_group_name_H-M 'C 1 2/c 1'
_symmetry_Int_Tables_number 15
_cell_length_a 12.066
_cell_length_b 13.427
_cell_length_c 6.932
_cell_angle_alpha 90.00
_cell_angle_beta 111.60
_cell_angle_gamma 90.00
loop_
_symmetry_equiv_pos_as_xyz
'x,y,z'
'-x,-y,-z'
'-x,y,-z+1/2'
'x,-y,z+1/2'
'x+1/2,y+1/2,z'
'-x+1/2,-y+1/2,-z'
'-x+1/2,y+1/2,-z+1/2'
'x+1/2,-y+1/2,z+1/2'
loop_
_atom_site_label
_atom_site_type_symbol
_atom_site_fract_x
_atom_site_fract_y
_atom_site_fract_z
Mn1 Mn 0.000 0.230 0.250
Mn2 Mn 0.208 0.339 0.117
V1 V 0.000 0.207 0.750
V2 V 0.228 0.388 0.619
Ag1 Ag 0.000 0.000 0.000
Ag2 Ag 0.000 0.493 0.750
O1 O 0.039 0.278 0.982
O2 O 0.115 0.126 0.758
O3 O 0.122 0.099 0.326
O4 O 0.157 0.495 0.098
O5 O 0.162 0.326 0.378
O6 O 0.214 0.319 0.826
```


# 2
The following is a computed powder X-ray diffraction pattern of Ag2MoO4. It was derived from DFT lattice parameters and positions (PBE+U), using Cu Kα (weighted mean of Kα1 and Kα2).

Largest 12 diffraction maxima, sorted by position, 10 to 90 degrees two-theta:
2θ/deg, I (rel.), hkl
26.6, 23, 2 2 0
31.3, 100, 3 1 1
32.8, 22, 2 2 2
38.0, 15, 4 0 0
47.0, 8, 4 2 2
50.1, 31, 3 3 3
54.9, 39, 4 4 0
64.6, 11, 5 3 3
65.4, 11, 6 2 2
77.5, 21, 7 3 1
81.3, 6, 8 0 0
89.7, 11, 7 5 1

Structural model:
Unit cell a=9.465 b=9.465 c=9.465 alpha=90.00 beta=90.00 gamma=90.00
Space group Fd-3m (No. 227, origin choice 2)
Inequivalent atoms, fractional coordinates:
Ag 0.000 0.000 0.000 [16 per cell]
Mo 0.125 0.125 0.625 [8 per cell]
O 0.015 0.015 0.735 [32 per cell]


# 3
The following is a computed powder X-ray diffraction pattern of Ag2Mo2O7. It was derived from DFT lattice parameters and positions (PBE+U), using Cu Kα (weighted mean of Kα1 and Kα2).

Largest 12 diffraction maxima, sorted by position, 10 to 90 degrees two-theta:
2θ/deg, I (rel.), hkl
24.1, 25, 1 1 -2
26.7, 45, 1 2 -2
27.0, 36, 0 2 2
30.7, 74, 2 0 0
30.8, 100, 1 4 0
31.0, 29, 0 3 2
31.5, 19, 2 1 0
32.3, 25, 2 1 -2
33.1, 21, 1 1 2
44.9, 20, 1 0 -4
49.2, 22, 3 3 -2
54.8, 27, 3 0 -4

Structural model:
```
data_Ag2Mo2O7
_chemical_formula_sum 'Ag8 Mo8 O28'
_symmetry_space_group_name_H-M 'P 1 21/c 1'
_symmetry_Int_Tables_number 14
_cell_length_a 6.197
_cell_length_b 13.398
_cell_length_c 8.084
_cell_angle_alpha 90.00
_cell_angle_beta 110.31
_cell_angle_gamma 90.00
loop_
_symmetry_equiv_pos_as_xyz
'x,y,z'
'-x,-y,-z'
'-x,y+1/2,-z+1/2'
'x,-y+1/2,z+1/2'
loop_
_atom_site_label

I promptly acquired food and water to rejuvenate myself for the arduous climb back to the surface.

As I ventured onward, eventually reaching the 27th floor, I made a spontaneous decision to confront the challenges head-on and navigate towards the waterfall.

I figured it would provide me with a convenient means of flying to the 25th floor and bypassing unnecessary obstacles.

Regrettably, my fatigue and mental weariness from my solo descent had caused me to overlook a crucial detail—the irritating presence of the Iguazu, monsters residing near the waterfall.

These creatures proved to be a source of much annoyance in the water city. With my ascent up the waterfall, I unintentionally attracted the attention of a multitude of them.

Despite utilizing a wind spell to enhance my speed, they persisted closely behind me, relentlessly pursuing their target.

Through sheer determination, I managed to soar past the waterfall entrance of the 26th floor, glimpsing the 25th floor looming above me.

Unfortunately, the swarm of enraged suicidal birds continued to give chase, and I inadvertently attracted the ire of other Iguazu nests en route.

Finally landing on the 25th floor, I hastily discarded my hefty dungeon bag, summoning a thick dome of ice with great strain on my mind.

This icy barrier would serve as my temporary refuge while I allowed the relentless birds to exhaust themselves.

The symphony of bodies repeatedly crashing into the ice dome filled the air, and whenever cracks appeared, I promptly repaired them while consuming a mind potion to replenish my waning mana levels.

I couldn't ascertain how long the onslaught endured, but I had depleted my supply of mind potions, and still, the relentless assault persisted.

I pondered if the cacophony of noises had managed to attract other monsters, further complicating an already dire situation.

Despite my understanding that the Iguazus should have perished by now, the relentless onslaught made me question this assumption.

Gimme them stones. Feel free to read ahead on pat3on and donate.

HungryMushroomcreators' thoughts